The latest European Commission short-term outlook for agricultural products includes contrasting predictions for sheep and goat production as well as sheep meat imports.
Sheep and goat production is forecast to reduce by at least 1.8% in 2023, followed by a further 1% decline in 2024.
In contrast, sheep meat imports are expected to rise by 10% in 2023 and a further 4.5% in 2024.
Production started the year strongly on the back of high demand for religious festivals, but since then, production has fallen sharply across most member states.
Figure 1 details sheep meat production across the main sheep-producing member states up to July 2023.
As can be quickly seen, production in Spain, Romania and France, the main sheep producing nations in the EU, fell from 8% to over 16%.
Production in Ireland was running 4.5% higher up to the end of July, but as we have witnessed since then, production has been trending well below 2022 levels.
Slaughterings in the Netherlands were running over 17% higher for the first half of the year. This was due in part to a higher cull ewe kill, with pressure on land availability due to the Nitrates Derogation and continued disease challenges inserting pressure on the sector.
Continued challenges
The outlook highlights a number of challenges, which it says will continue to hamper production.
Ewe numbers have declined in recent years, and with no reversal envisaged, production is set to be directly affected by fewer ewes mated and less lambs born.
Tight supplies of grass in Mediterranean countries and higher feed costs reducing the volume of supplementary feed utilised are two significant barriers raised, while outbreaks of sheep pox (a highly contagious viral disease) in Spain and Belgium have hit production there.
Goat slaughterings are forecast to tighten considerably on the back of high goat milk prices, inserting more confidence into the sector and supporting higher retention of replacements to bolster flock numbers.
Inflationary pressure
On a relatively bright note, EU consumption of sheep meat is not expected to be affected to the same degree as other red meat proteins.
Average per capita consumption of meat in the EU is expected to remain largely steady at 66kg, with some growth in pigmeat possible for 2024.
Within this, sheep meat consumption is forecast to be stable in 2023 and possibly slightly firmer by 0.8%, partly due to higher availability of product.
The report cites the downwards revising of the EU macroeconomic situation and a tighter monetary policy to fight inflation will feed in to weaker growth predictions for 2024. The outlook hones in on the influence of high energy costs.
### Someone pasted records of crystals at this point
____________
Entry 1:
Below is a relaxed structure of PrCoSiC, with properties calculated at the PBE level.

**Formation energy from raw total energies**: -1.6 eV per formula unit
**SG**: No. 129
**E**: -0.2585 hartree per atom

Lattice parameters (Å, degrees): 3.8547 3.8547 8.4478 90.00 90.00 90.00
Atoms (fractional coordinates):
1 Pr 0.2500 0.2500 0.1585
2 Pr 0.7500 0.7500 0.8415
3 Co 0.2500 0.7500 0.5000
4 Co 0.7500 0.2500 0.5000
5 Si 0.2500 0.2500 0.6422
6 Si 0.7500 0.7500 0.3578
7 C 0.2500 0.2500 0.8587
8 C 0.7500 0.7500 0.1413



Entry 2:
Below is a relaxed structure of PrCo2SiC, with properties calculated at the PBE level.

**Formation energy from raw total energies**: -2.3 eV per formula unit
**SG**: No. 63
**E**: -0.2641 hartree per atom

Lattice parameters (Å, degrees): 5.6502 5.6502 6.8235 90.00 90.00 139.75
Atoms (fractional coordinates):
1 Pr 0.0558 0.9442 0.7500
2 Pr 0.9442 0.0558 0.2500
3 Co 0.3368 0.6632 0.5575
4 Co 0.3368 0.6632 0.9425
5 Co 0.6632 0.3368 0.0575
6 Co 0.6632 0.3368 0.4425
7 Si 0.2249 0.7751 0.2500
8 Si 0.7751 0.2249 0.7500
9 C 0.5000 0.5000 0.0000
10 C 0.5000 0.5000 0.5000
____________
It says that while energy inflation continues to decline, the likely reduction in oil supply by OPEC countries is bringing an upward price effect on crude oil prices from 2024.
It adds that natural gas prices are also rising, despite 90% storage capacity being reached in September. Both of these factors are said to be compounding consumer concerns regarding spending potential on food.
Imports and exports
According to the European Commission, EU imports of sheep meat increased by almost 15% in the period January to June 2023.
Import volumes are expected to be much lower in the second half of the year, but are still forecast to finish the year approximately 10% higher. This recovery in import volumes is predicted to continue into 2024, with a further 4.5% increase on the cards.
The outlook highlights that high EU prices are increasing the attractiveness for countries such as New Zealand to target the EU market, while forecast sluggish Asian demand is also expected to increase the volume of sheep meat available for exporting to the EU.
Persistent pressure on sheep meat consumption in Britain is also having a marked effect on the volume of sheep meat being exported to the EU.
As detailed in Table 1, EU imports of sheep meat from the UK are running 15% higher for the first half of the year.
It is important that UK sheep meat consumption recovers, with the market an important outlet for mutton and lamb, while the recent UK-Australia free trade agreement is likely to witness higher volumes of sheep meat entering the UK market in the coming years.
EU exports
[What comes next are data records, not part of the article]
********
Version 1
DFT (PBE) results for crystalline Pr4Ag3 at its relaxed geometry.

Calculated values
Symmetry ... R-3, No. 148
N(E_F) ... 16.24 states/eV/cell
Size of the total moment ... 0.0 μB per formula unit

```
Pr4Ag3
1.0
7.165 4.136 2.211
-7.165 4.136 2.211
0.000 -8.273 2.211
Pr Ag
8 6
Cartesian
0.000 0.000 0.000 Pr
-3.947 -3.504 3.267 Pr
-5.008 1.666 3.366 Pr
1.061 -5.170 3.366 Pr
0.000 0.000 3.316 Pr
-1.061 5.170 3.267 Pr
5.008 -1.666 3.267 Pr
3.947 3.504 3.366 Pr
-0.949 -2.856 2.054 Ag
-1.999 2.250 2.054 Ag
-2.948 -0.606 4.578 Ag
2.948 0.606 2.054 Ag
1.999 -2.250 4.578 Ag
0.949 2.856 4.578 Ag
```


Version 2
DFT (PBE) results for crystalline Pr4Ag3 at its relaxed geometry.

Calculated values
Symmetry ... R-3m, No. 166
N(E_F) ... 9.41 states/eV/cell
Size of the total moment ... 1.2 μB per formula unit

```
Pr4Ag3
1.0
2.653 1.531 8.570
-2.653 1.531 8.570
0.000 -3.063 8.570
Pr Ag
4 3
Cartesian
0.000 0.000 3.139 Pr
0.000 0.000 9.588 Pr
0.000 0.000 16.123 Pr
0.000 0.000 22.572 Pr
0.000 0.000 6.403 Ag
0.000 0.000 12.855 Ag
0.000 0.000 19.308 Ag
```


Which of them is the most stable? Correct choice: version 1.
********
Relatively high EU prices and lower availability have contributed to EU export volumes being revised downwards by 10%.
Price sensitivity is said to have had a big effect in important destinations, such as Oman, Qatar and UAE, with export volumes falling by 13.2%, while Table 2 shows a 22% decline in exports to Jordan.
A marked increase in exports to Libya and Morocco helped to compensate for the lower volumes exported to Jordan, Saudi Arabia and Israel.
EU exports of live animals increased by 1.7% in the January-June period, but reports indicate numbers exported live have been lower in recent months.
There were 1.2m lambs exported live in the first seven months of 2023, compared to 1.03m head in 2022, while exports of adult sheep declined from 811,000 to 566,000.
Live exports are forecast to decline by 3% in 2024, due to a ‘gradually declining export potential’, with future EU legislation on live animal transport casting a shadow over the trade.